____________
(1)
The following is a r2SCAN calculation of a relaxed Al2Au crystal, from the Materials Project.

Unit cell a=4.246 b=4.246 c=4.246 alpha=60.00 beta=60.00 gamma=60.00
Sites, in units of the cell vectors:
1 Al 0.250 0.250 0.250
2 Al 0.750 0.750 0.750
3 Au 0.000 0.000 0.000

**Symmetry**: No. 225



(2)
The following is a r2SCAN calculation of a relaxed Hf2MoIr crystal, from the Materials Project.

Unit cell a=4.617 b=4.617 c=4.617 alpha=60.00 beta=60.00 gamma=60.00
Sites, in units of the cell vectors:
1 Hf 0.000 0.000 0.000
2 Hf 0.500 0.500 0.500
3 Mo 0.750 0.750 0.750
4 Ir 0.250 0.250 0.250

**Symmetry**: No. 225



(3)
The following is a r2SCAN calculation of a relaxed SnO2 crystal, from the Materials Project.

Unit cell a=5.853 b=5.853 c=5.853 alpha=140.03 beta=140.03 gamma=57.80
Sites, in units of the cell vectors:
1 O 0.547 0.047 0.500
2 O 0.953 0.453 0.500
3 O 0.797 0.797 0.000
4 O 0.203 0.203 0.000
5 Sn 0.750 0.250 0.500
6 Sn 0.000 0.000 0.000

**Symmetry**: No. 141



(4)
The following is a r2SCAN calculation of a relaxed TiCoGe crystal, from the Materials Project.

Unit cell a=6.167 b=6.168 c=3.693 alpha=90.00 beta=90.00 gamma=120.00
Sites, in units of the cell vectors:
1 Ge 0.000 0.000 0.500
2 Ge 0.667 0.333 0.000
3 Ge 0.333 0.667 0.000
4 Ti 0.431 0.431 0.500
5 Ti 0.000 0.569 0.500
6 Ti 0.569 0.000 0.500
7 Co 0.000 0.245 0.000
8 Co 0.755 0.755 0.000
9 Co 0.245 0.000 0.000

**Symmetry**: No. 189



no.,DFT formation energy (eV per atom),magnetization (μB/f.u.)
1,-0.495,0.00
2,-0.675,0.00
3,-1.792,0.00
4,-0.555,0.52
____________

Filter the data further above: keep the lines with the word "Al2Au".

The following is a r2SCAN calculation of a relaxed Al2Au crystal, from the Materials Project.